HPV RNA test for cervical cancer
Systematic review
Cervical cancer is the second most common cancer in women world-wide and affects about 300 women in Norway each year. Cervical cancer develops through cellular abnormalities in the cervix that can be detected by cytological tests. With the introduction of organized cervical cytologic screening programs, the incidence of cervical cancer has been dramatically reduced. However, cytologic screening tests also have limitations, especially their limited sensitivity.
Because infection with oncogenic human papillomavirus (HPV) has been identified as the underlying cause of cervical cancer, there is interest in the use of HPV testing as a screening test for cervical cancer. The overall prevalence of HPV among cervical cancers is more than 99 %.
We have evaluated HPV RNA testing for cervical pre cancer lesions by assessing the diagnostic accuracy of the HPV RNA tests compared with cytology and HPV DNA testing.
We have systematically searched the following databases for studies that fulfilled our criteria:
- Medline (Ovid) 1966 – 2007, September week 1
- Embase (Ovid) 1980 – 2007 week 37
- CRD databases (DARE, NHS EED, HTA) 2007, September
Relevant topics and text words were combined. We also composed a search filter for diagnostic studies. NorChip AS who has developed a HPV mRNA test was invited to dispatch documentation.
We included published literature based on the following criteria:
- Population: Women
- Index test: HPV RNA tests
- Comparators: HPV DNA tests or cytology for screening of cervical cancer
- Reference standard: Histology
- Study design: No limit
- Test sensitivity and specificity, positive and negative predictive value or other values that describe diagnostic accuracy
- Development of cancer
- Test reliability
Language: English and Scandinavian
We did not include publications from conferences or abstracts.
Relevance and quality was assessed according to our handbook (1). We used GRADE to assess the documentation for diagnostic accuracy. The results are presented in tables and in a descriptive summary. This work has been carried out by two researchers at NOKC and the report has been externally reviewed.
We calculated diagnostic accuracy using 2 x 2 tables for each study, table A.
We identified 2498 references and assessed 31 full-text articles. Five studies were included in the report and results were extracted and pooled from three of them. Details of each study are presented in evidence tables, appendix 6. Two of the studies were sponsored by the producers of the tests.
The results for diagnostic accuracy are shown in table B. We have assessed the quality of the documentation of diagnostic accuracy using GRADE, table B. For HPV RNA testing, the quality is very low which means that the results are very uncertain. It is not known whether HPV RNA testing give a better diagnostic accuracy than HPV DNA testing and cytology.
In summary these results showed:
The HPV RNA tests had slightly lower sensitivity compared with HPV DNA tests (77 % (95 % CI 73-81) versus 92 % (95 % CI 89-94), while cytology had lowest sensitivity (61 %). The sensitivity states the probability of a positive test result if you have the disease.
The HPV RNA tests had slightly higher specificity compared with HPV DNA tests (64 % (95 % CI 60-68) versus 45 % (95 % CI 41-49)), while cytology had highest specificity (81 %). The specificity states the probability of a negative test result if you are healthy.
The HPV RNA tests had comparable positive predictive value with the HPV DNA tests (63 % (95 % CI 59-67) versus 57 % (95 % CI 53-60), while cytology had the highest positive predictive value (91 %). Positive predictive value states the probability of illness among people with a positive test.
'''
1.
For Ti2FeCo2, a GGA-PBE-relaxed structure gives the computed X-ray diffraction stick pattern in this record (Cu Kα (weighted mean of Kα1 and Kα2)).
Neutral-atom scattering factors, no anomalous dispersion.

Cell and atoms:
Cell lengths 3.9355, 12.1297, 2.7833 Å; angles 90.00, 90.00, 90.00 degrees
Space group Cmmm (No. 65)
Symmetry-distinct sites (fractional):
Ti: 0.0000 0.1266 0.0000
Fe: 0.0000 0.5000 0.5000
Co: 0.0000 0.3104 0.5000

Main lines, by angle (10° ≤ 2θ ≤ 90°):
Position (°2θ), d/Å, I_rel, (hkl)
32.16, 2.783, 13, 0 0 1
40.38, 2.234, 100, 1 1 1
43.84, 2.065, 77, 1 5 0
44.17, 2.050, 33, 0 4 1
44.83, 2.022, 13, 0 6 0
45.80, 1.981, 35, 1 3 1
46.13, 1.968, 44, 2 0 0
55.40, 1.658, 17, 1 5 1
65.78, 1.420, 18, 2 4 1
83.83, 1.154, 30, 3 5 0



2.
For TmFeCo3, a GGA-PBE-relaxed structure gives the computed X-ray diffraction stick pattern in this record (Cu Kα (weighted mean of Kα1 and Kα2)).
Neutral-atom scattering factors, no anomalous dispersion.

Cell and atoms:
Cell lengths 5.8480, 6.6314, 7.6613 Å; angles 90.00, 90.00, 90.00 degrees
Space group Immm (No. 71)
Symmetry-distinct sites (fractional):
Tm: 0.0000 0.0000 0.2293
Fe: 0.0000 0.3413 0.5000
Co: 0.0000 0.5000 0.2265
Co: 0.1952 0.3275 0.0000

Main lines, by angle (10° ≤ 2θ ≤ 90°):
Position (°2θ), d/Å, I_rel, (hkl)
26.89, 3.316, 19, 0 2 0
30.57, 2.924, 28, 2 0 0
31.00, 2.885, 70, 1 1 2
35.82, 2.507, 100, 0 2 2
38.74, 2.324, 54, 2 0 2
41.16, 2.193, 46, 2 2 0
43.78, 2.068, 24, 1 3 0
47.49, 1.915, 39, 0 0 4
47.79, 1.903, 33, 2 2 2
64.61, 1.442, 27, 2 4 0



3.
For Tm3Fe8Co, a GGA-PBE-relaxed structure gives the computed X-ray diffraction stick pattern in this record (Cu Kα (weighted mean of Kα1 and Kα2)).
Neutral-atom scattering factors, no anomalous dispersion.

Cell and atoms:
Cell lengths 4.9984, 4.9984, 24.4496 Å; angles 90.00, 90.00, 120.00 degrees
Space group R3m (No. 160, hexagonal axes)
Symmetry-distinct sites (fractional):
Tm: 0.0000 0.0000 0.0000
Tm: 0.0000 0.0000 0.1284
Tm: 0.0000 0.0000 0.5100
Fe: 0.0000 0.0000 0.3164
Fe: 0.0000 0.0000 0.8166
Fe: 0.1670 0.3340 0.9018
Fe: 0.1682 0.3363 0.3977
Co: 0.0000 0.0000 0.6311

Main lines, by angle (10° ≤ 2θ ≤ 90°):
Position (°2θ), d/Å, I_rel, (hkl)
21.79, 4.079, 14, 0 1 2
27.52, 3.241, 5, 0 1 5
32.95, 2.718, 4, 1 0 7
35.95, 2.498, 62, 1 1 0
42.43, 2.130, 100, 2 0 2
44.42, 2.040, 16, 0 2 4
64.63, 1.442, 22, 3 0 0
69.07, 1.360, 27, 2 1 10
76.23, 1.249, 21, 2 2 0
87.28, 1.117, 9, 3 1 8



4.
For Tm2Fe5Co12, a GGA-PBE-relaxed structure gives the computed X-ray diffraction stick pattern in this record (Cu Kα (weighted mean of Kα1 and Kα2)).
Neutral-atom scattering factors, no anomalous dispersion.

Cell and atoms:
Cell lengths 8.3000, 8.3000, 12.1815 Å; angles 90.00, 90.00, 120.00 degrees
Space group R-3m (No. 166, hexagonal axes)
Symmetry-distinct sites (fractional):
Tm: 0.0000 0.0000 0.1580
Fe: 0.0000 0.0000 0.4039
Fe: 0.0000 0.5000 0.0000
Co: 0.0000 0.2913 0.5000
Co: 0.0039 0.5019 0.6546

Main lines, by angle (10° ≤ 2θ ≤ 90°):
'''
**The data records stop here:**
The HPV RNA tests had slightly lower negative predictive value compared with the HPV DNA tests (78 % (95 % CI 74-82) versus 87 % (95 % CI 83-91)), while cytology had the lowest negative predictive value (39 %). Negative predictive value states the probability of illness among people with a negative test.
Due to spare and low quality documentation, we do not know if HPV RNA tests have a better diagnostic accuracy compared to HPV DNA tests and cytology for detection of cervical pre cancer lesions.
Norwegian Knowledge Centre for the Health Services summarizes and disseminates evidence concerning the effect of treatments, methods, and interventions in health services, in addition to monitoring health service quality. Our goal is to support good decision making in order to provide patients in Norway with the best possible care. The Centre is organized under The Directorate for Health and Social Affairs, but is scientifically and professionally independent. The Centre has no authority to develop health policy or responsibility to implement policies.